Blog Worky Industry

Industrial extraction systems: how to select the supplier

Written by Lino Di Betta | January 24 2023

When deciding to install an industrial extraction systems, it is important to choose the one that best suits the needs and requirements of the company and the operators, in order to achieve the desired results. It is therefore necessary to rely on a specialized supplier who can advise and design the best solution.

How to find the most suitable partner? We discuss this in the article.

The supplier's role in selecting the best industrial extraction systems

Purchasing a fumes and dust extraction system is a significant investment; the reasons that usually prompt companies to acquire such technologies are:

  • The desire to safeguard the health of employees by making the environment healthy
  • The need to make work more efficient and productive, increasing process quality and the company’s abilities

This second point is crucial. A modern industrial plant makes the work of technicians and operators easier and faster, ensuring a quality end result. This translates into the ability to do more work in less time and to satisfy customers, who will be keen to return, if any need arise.

Faster operations and less production time means increased profits and business growth.

Purchasing a fumes extractor for the company is certainly an investment, but by choosing the right solution that ease and improves daily operations, the ROI will be immediate.

As mentioned just now, however, in order to choose the right industrial extraction systems, it is necessary to rely on a supplier who support the customer through the whole process, showing the options available and recommending the most suitable one.

Here are some tips for choosing the right partner.

Verify that the proposed solutions are aligned with the latest technology

In addition to introducing practices and systems that aim to protect the health of employees, it is important to equip the company with the latest systems that make work faster, optimizing time and costs. New technologies allow work to be completed in less time, with better results and lower costs, paying back the investment made.

-- begin --
Entry from the Materials Project: crystalline ErZrF7 at its relaxed geometry (PBE).

Cell: 5.701 6.086 8.271 Å, 102.35 90.00 90.00°
Fractional positions:
Er 0.698 0.654 0.683
Er 0.198 0.346 0.317
Zr 0.708 0.812 0.224
Zr 0.208 0.188 0.776
F 0.890 0.454 0.478
F 0.390 0.546 0.522
F 0.428 0.921 0.766
F 0.928 0.079 0.234
F 0.942 0.957 0.760
F 0.442 0.043 0.240
F 0.993 0.458 0.787
F 0.493 0.542 0.213
F 0.702 0.755 0.973
F 0.202 0.245 0.027
F 0.710 0.860 0.476
F 0.210 0.140 0.524
F 0.505 0.381 0.780
F 0.005 0.619 0.220

Entry from the Materials Project: crystalline ErFe2 at its relaxed geometry (PBE).

Cell: 5.103 5.103 5.103 Å, 60.00 60.00 60.00°
Fractional positions:
Er 0.500 0.500 0.500
Er 0.750 0.750 0.750
Fe 0.625 0.125 0.125
Fe 0.125 0.125 0.625
Fe 0.125 0.625 0.125
Fe 0.125 0.125 0.125

Entry from the Materials Project: crystalline ErFe3 at its relaxed geometry (PBE).

Cell: 8.560 8.560 8.560 Å, 34.43 34.43 34.43°
Fractional positions:
Er 0.142 0.142 0.142
Er 0.000 0.000 0.000
Er 0.858 0.858 0.858
Fe 0.418 0.418 0.918
Fe 0.918 0.418 0.418
Fe 0.582 0.082 0.582
Fe 0.582 0.582 0.082
Fe 0.418 0.918 0.418
Fe 0.082 0.582 0.582
Fe 0.333 0.333 0.333
Fe 0.667 0.667 0.667
Fe 0.500 0.500 0.500

Entry from the Materials Project: crystalline Er4Fe at its relaxed geometry (PBE).

Size of the total moment: 0.000 μB per formula unit

Cell: 7.372 7.372 7.372 Å, 60.00 60.00 60.00°
Fractional positions:
Er 0.385 0.385 0.385
Er 0.385 0.385 0.845
Er 0.385 0.845 0.385
Er 0.865 0.865 0.405
Er 0.865 0.865 0.865
Er 0.845 0.385 0.385
Er 0.865 0.405 0.865
Er 0.405 0.865 0.865
Fe 0.000 0.000 0.000
Fe 0.250 0.250 0.250

Entry from the Materials Project: crystalline Er6Fe23 at its relaxed geometry (PBE).

Size of the total moment: 50.948 μB per formula unit

Cell: 8.453 8.453 8.453 Å, 60.00 60.00 60.00°
Fractional positions:
Er 0.790 0.210 0.790
Er 0.210 0.210 0.790
Er 0.790 0.790 0.210
Er 0.790 0.210 0.210
Er 0.210 0.790 0.790
Er 0.210 0.790 0.210
Fe 0.825 0.825 0.825
Fe 0.474 0.175 0.175
Fe 0.175 0.175 0.474
Fe 0.175 0.474 0.175
Fe 0.825 0.825 0.526
Fe 0.825 0.526 0.825
Fe 0.500 0.500 0.500
Fe 0.000 0.500 0.000
Fe 0.500 0.000 0.000
Fe 0.000 0.500 0.500
Fe 0.500 0.000 0.500
Fe 0.000 0.000 0.500
Fe 0.500 0.500 0.000
Fe 0.379 0.379 0.379
Fe 0.136 0.621 0.621
Fe 0.621 0.136 0.621
Fe 0.621 0.621 0.136
Fe 0.379 0.864 0.379
Fe 0.379 0.379 0.864
Fe 0.864 0.379 0.379
Fe 0.621 0.621 0.621
Fe 0.175 0.175 0.175
Fe 0.526 0.825 0.825

Entry from the Materials Project: crystalline ErFe2 at its relaxed geometry (PBE).

Size of the total moment: 3.377 μB per formula unit

Cell: 5.130 5.130 8.303 Å, 90.00 90.00 120.04°
Fractional positions:
Er 0.667 0.333 0.562
Er 0.333 0.667 0.438
Er 0.333 0.667 0.062
Er 0.667 0.333 0.938
Fe 0.000 0.000 0.500
Fe 0.000 0.000 0.000
Fe 0.166 0.331 0.750
Fe 0.166 0.834 0.750
Fe 0.669 0.834 0.750
Fe 0.834 0.669 0.250
Fe 0.834 0.166 0.250
Fe 0.331 0.166 0.250

Entry from the Materials Project: crystalline ErGa6Fe6 at its relaxed geometry (PBE).
-- stop --

In addition, equipping the workshop with innovative systems will make employees feel proud to be part of a dynamic, modern business that allows them to work with practical, functional and intuitive machinery.

Not only that, but modern facilities are way more energy efficient, resulting in significant cost savings.

Make sure you receive a customized project

Each business reality has different characteristics and needs, requiring specific industrial extraction systems. For example, fixed industrial extraction systems, which require permanent installation, are the ideal solution in cases where operations, such as welding, takes place in one specific, well-defined area of the company.

Fixed systems also include extraction benches, which, since they can also be used as regular workbenches, are very useful when small spaces need to be optimized.

Mobile systems and wheel-mounted units, on the other hand, are preferred when there is no dedicated welding area, but the operators need to move from one point to another quickly and nimbly.

Thus, it is clear that there is no universal system that fits every company. The choice must be based on several factors, such as:

  • the spaces available
  • the frequency of use
  • the type of work performed
  • the needs of technicians and welders

A reliable partner should carefully analyze the baseline situation to figure out the best solution that fits both the needs of the operators and the structure of the building. It is also important to highlight the ability to collaborate with architects and engineers, to understand the feasibility of the project also from a structural point of view.

Chek the previously completed projects

An experienced supplier should have already implemented other similar projects with obvious results and satisfied customers. Asking for information regarding completed projects can be helpful in assessing the actual experience of the potential partner and understanding whether he or she may be a good fit for your business needs.

If the supplier undertakes projects for different business areas, for example:

  • manufacturing companies
  • machine shops
  • labs
  • educational & training center
  • shipyards and naval workshops

Means that due to the cross functional skills developed in different sectors, is familiar with various needs of different reality and is able to develop customised projects to achieve set objectives.

One of WORKY's key strengths is its ability to develop customised projects for the industrial sector, which meet and satisfy even the most challenging demands by designing ad hoc solutions for each specific case.

One of our most popular services is the three-dimensional design of working areas to locate and contextualise products, optimising spaces through a photorealistic rendering service.

If you are looking for industrial extraction systems for your company, book a free, personalised consultation! Our technicians are at your disposal to advise you on the most suitable system for your needs!

And don't worry: even after installation, we will support you with accurate, tailored service.